Request =
Retype the lines below up to the one that holds "0.420 0.810", that line included.

File =
(1)
# Ba3NbAs3O

A relaxed structure of Ba3NbAs3O (PBE-GGA, the Materials Project database).

Uncorrected energy in eV/atom: -5.7799
SG: No. 62
ΔH_f (0 K) in kJ per mole of atoms: -146.5

Unit cell a=6.820 b=11.255 c=13.677 alpha=90.00 beta=90.00 gamma=90.00
Positions (direct):
1 Ba 0.227 0.750 0.372
2 Ba 0.243 0.455 0.131
3 Ba 0.743 0.455 0.369
4 Ba 0.757 0.955 0.869
5 Ba 0.243 0.045 0.131
6 Ba 0.773 0.250 0.628
7 Ba 0.743 0.045 0.369
8 Ba 0.757 0.545 0.869
9 Ba 0.257 0.545 0.631
10 Ba 0.257 0.955 0.631
11 Ba 0.273 0.250 0.872
12 Ba 0.727 0.750 0.128
13 As 0.763 0.556 0.617
14 As 0.763 0.944 0.617
15 As 0.263 0.944 0.883
16 As 0.737 0.444 0.117
17 As 0.263 0.556 0.883
18 As 0.227 0.750 0.133
19 As 0.737 0.056 0.117
20 As 0.273 0.250 0.633
21 As 0.237 0.444 0.383
22 As 0.727 0.750 0.367
23 As 0.773 0.250 0.867
24 As 0.237 0.056 0.383
25 O 0.619 0.250 0.447
26 O 0.119 0.250 0.053
27 O 0.381 0.750 0.553
28 O 0.881 0.750 0.947
29 Nb 0.340 0.250 0.455
30 Nb 0.840 0.250 0.045
31 Nb 0.160 0.750 0.955
32 Nb 0.660 0.750 0.545

***

(2)
# Na6Nb3Al5P12O48

A relaxed structure of Na6Nb3Al5P12O48 (PBE-GGA, the Materials Project database).

Uncorrected energy in eV/atom: -7.3158
SG: No. 1
ΔH_f (0 K) in kJ per mole of atoms: -280.2

Unit cell a=17.164 b=8.582 c=22.088 alpha=90.04 beta=89.97 gamma=120.00
Positions (direct):
1 O 0.753 0.361 0.424
2 O 0.682 0.871 0.858
3 O 0.844 0.166 0.742
4 O 0.094 0.160 0.091
5 O 0.680 0.494 0.077
6 O 0.986 0.812 0.092
7 O 0.917 0.313 0.241
8 O 0.267 0.695 0.973
9 O 0.319 0.133 0.139
10 O 0.753 0.641 0.577
11 O 0.344 0.166 0.742
12 O 0.759 0.831 0.757
13 O 0.350 0.165 0.026
14 O 0.902 0.829 0.909
15 O 0.984 0.794 0.805
16 O 0.927 0.361 0.924
17 O 0.568 0.495 0.578
18 O 0.900 0.967 0.693
19 O 0.747 0.132 0.643
20 O 0.818 0.503 0.641
21 O 0.416 0.517 0.741
22 O 0.102 0.030 0.306
23 O 0.519 0.836 0.694
24 O 0.152 0.827 0.257
25 O 0.566 0.633 0.359
26 O 0.753 0.865 0.077
27 O 0.564 0.495 0.858
28 O 0.486 0.161 0.592
29 O 0.427 0.493 0.425
30 O 0.984 0.173 0.305
31 O 0.653 0.467 0.472
32 O 0.253 0.360 0.425
33 O 0.064 0.634 0.358
34 O 0.927 0.493 0.424
35 O 0.594 0.161 0.092
36 O 0.402 0.829 0.910
37 O 0.587 0.477 0.257
38 O 0.254 0.146 0.924
39 O 0.417 0.301 0.528
40 O 0.585 0.976 0.910
41 O 0.586 0.196 0.410
42 O 0.417 0.534 0.026
43 O 0.418 0.310 0.244
44 O 0.753 0.146 0.924
45 O 0.402 0.975 0.409
46 O 0.400 0.967 0.693
47 O 0.083 0.205 0.694
48 O 0.153 0.479 0.758
49 O 0.268 0.839 0.473
50 O 0.512 0.195 0.909
51 O 0.012 0.195 0.909
52 O 0.252 0.863 0.077
53 O 0.183 0.871 0.858
54 O 0.917 0.533 0.027
55 O 0.247 0.132 0.643
56 O 0.183 0.498 0.359
57 O 0.584 0.689 0.757
58 O 0.065 0.495 0.858
59 O 0.234 0.167 0.528
60 O 0.986 0.161 0.592
61 O 0.081 0.695 0.472
62 O 0.427 0.361 0.924
63 O 0.920 0.810 0.592
64 O 0.604 0.172 0.805
65 O 0.179 0.495 0.077
66 O 0.413 0.798 0.306
67 O 0.902 0.975 0.410
68 O 0.767 0.839 0.473
69 O 0.414 0.034 0.805
70 O 0.654 0.479 0.758
71 O 0.434 0.362 0.643
72 O 0.237 0.164 0.243
73 O 0.820 0.493 0.925
74 O 0.068 0.496 0.578
75 O 0.899 0.831 0.193
76 O 0.086 0.196 0.410
77 O 0.233 0.300 0.026
78 O 0.153 0.839 0.972
79 O 0.585 0.967 0.193
80 O 0.739 0.169 0.241
81 O 0.084 0.480 0.257
82 O 0.512 0.828 0.410
83 O 0.914 0.034 0.805
84 O 0.916 0.301 0.528
85 O 0.680 0.865 0.578
86 O 0.844 0.521 0.242
87 O 0.012 0.830 0.409
88 O 0.251 0.633 0.860
89 O 0.653 0.838 0.972
90 O 0.400 0.833 0.192
91 O 0.095 0.029 0.592
92 O 0.083 0.963 0.193
93 O 0.820 0.146 0.425
94 O 0.240 0.308 0.742
95 O 0.251 0.868 0.359
96 O 0.486 0.812 0.091
97 O 0.747 0.362 0.143
98 O 0.017 0.200 0.192
99 O 0.583 0.205 0.694
100 O 0.569 0.642 0.077
101 O 0.751 0.633 0.860
102 O 0.818 0.134 0.141
103 O 0.768 0.696 0.973
104 O 0.759 0.686 0.257
105 O 0.734 0.167 0.528
106 O 0.253 0.641 0.577
107 O 0.420 0.810 0.592
108 O 0.318 0.503 0.641
109 O 0.067 0.641 0.077
110 O 0.850 0.535 0.526
111 O 0.320 0.493 0.924
112 O 0.019 0.836 0.694
113 O 0.350 0.535 0.527
114 O 0.733 0.300 0.027
115 O 0.916 0.517 0.741

Response =
(1)
# Ba3NbAs3O

A relaxed structure of Ba3NbAs3O (PBE-GGA, the Materials Project database).

Uncorrected energy in eV/atom: -5.7799
SG: No. 62
ΔH_f (0 K) in kJ per mole of atoms: -146.5

Unit cell a=6.820 b=11.255 c=13.677 alpha=90.00 beta=90.00 gamma=90.00
Positions (direct):
1 Ba 0.227 0.750 0.372
2 Ba 0.243 0.455 0.131
3 Ba 0.743 0.455 0.369
4 Ba 0.757 0.955 0.869
5 Ba 0.243 0.045 0.131
6 Ba 0.773 0.250 0.628
7 Ba 0.743 0.045 0.369
8 Ba 0.757 0.545 0.869
9 Ba 0.257 0.545 0.631
10 Ba 0.257 0.955 0.631
11 Ba 0.273 0.250 0.872
12 Ba 0.727 0.750 0.128
13 As 0.763 0.556 0.617
14 As 0.763 0.944 0.617
15 As 0.263 0.944 0.883
16 As 0.737 0.444 0.117
17 As 0.263 0.556 0.883
18 As 0.227 0.750 0.133
19 As 0.737 0.056 0.117
20 As 0.273 0.250 0.633
21 As 0.237 0.444 0.383
22 As 0.727 0.750 0.367
23 As 0.773 0.250 0.867
24 As 0.237 0.056 0.383
25 O 0.619 0.250 0.447
26 O 0.119 0.250 0.053
27 O 0.381 0.750 0.553
28 O 0.881 0.750 0.947
29 Nb 0.340 0.250 0.455
30 Nb 0.840 0.250 0.045
31 Nb 0.160 0.750 0.955
32 Nb 0.660 0.750 0.545

***

(2)
# Na6Nb3Al5P12O48

A relaxed structure of Na6Nb3Al5P12O48 (PBE-GGA, the Materials Project database).

Uncorrected energy in eV/atom: -7.3158
SG: No. 1
ΔH_f (0 K) in kJ per mole of atoms: -280.2

Unit cell a=17.164 b=8.582 c=22.088 alpha=90.04 beta=89.97 gamma=120.00
Positions (direct):
1 O 0.753 0.361 0.424
2 O 0.682 0.871 0.858
3 O 0.844 0.166 0.742
4 O 0.094 0.160 0.091
5 O 0.680 0.494 0.077
6 O 0.986 0.812 0.092
7 O 0.917 0.313 0.241
8 O 0.267 0.695 0.973
9 O 0.319 0.133 0.139
10 O 0.753 0.641 0.577
11 O 0.344 0.166 0.742
12 O 0.759 0.831 0.757
13 O 0.350 0.165 0.026
14 O 0.902 0.829 0.909
15 O 0.984 0.794 0.805
16 O 0.927 0.361 0.924
17 O 0.568 0.495 0.578
18 O 0.900 0.967 0.693
19 O 0.747 0.132 0.643
20 O 0.818 0.503 0.641
21 O 0.416 0.517 0.741
22 O 0.102 0.030 0.306
23 O 0.519 0.836 0.694
24 O 0.152 0.827 0.257
25 O 0.566 0.633 0.359
26 O 0.753 0.865 0.077
27 O 0.564 0.495 0.858
28 O 0.486 0.161 0.592
29 O 0.427 0.493 0.425
30 O 0.984 0.173 0.305
31 O 0.653 0.467 0.472
32 O 0.253 0.360 0.425
33 O 0.064 0.634 0.358
34 O 0.927 0.493 0.424
35 O 0.594 0.161 0.092
36 O 0.402 0.829 0.910
37 O 0.587 0.477 0.257
38 O 0.254 0.146 0.924
39 O 0.417 0.301 0.528
40 O 0.585 0.976 0.910
41 O 0.586 0.196 0.410
42 O 0.417 0.534 0.026
43 O 0.418 0.310 0.244
44 O 0.753 0.146 0.924
45 O 0.402 0.975 0.409
46 O 0.400 0.967 0.693
47 O 0.083 0.205 0.694
48 O 0.153 0.479 0.758
49 O 0.268 0.839 0.473
50 O 0.512 0.195 0.909
51 O 0.012 0.195 0.909
52 O 0.252 0.863 0.077
53 O 0.183 0.871 0.858
54 O 0.917 0.533 0.027
55 O 0.247 0.132 0.643
56 O 0.183 0.498 0.359
57 O 0.584 0.689 0.757
58 O 0.065 0.495 0.858
59 O 0.234 0.167 0.528
60 O 0.986 0.161 0.592
61 O 0.081 0.695 0.472
62 O 0.427 0.361 0.924
63 O 0.920 0.810 0.592
64 O 0.604 0.172 0.805
65 O 0.179 0.495 0.077
66 O 0.413 0.798 0.306
67 O 0.902 0.975 0.410
68 O 0.767 0.839 0.473
69 O 0.414 0.034 0.805
70 O 0.654 0.479 0.758
71 O 0.434 0.362 0.643
72 O 0.237 0.164 0.243
73 O 0.820 0.493 0.925
74 O 0.068 0.496 0.578
75 O 0.899 0.831 0.193
76 O 0.086 0.196 0.410
77 O 0.233 0.300 0.026
78 O 0.153 0.839 0.972
79 O 0.585 0.967 0.193
80 O 0.739 0.169 0.241
81 O 0.084 0.480 0.257
82 O 0.512 0.828 0.410
83 O 0.914 0.034 0.805
84 O 0.916 0.301 0.528
85 O 0.680 0.865 0.578
86 O 0.844 0.521 0.242
87 O 0.012 0.830 0.409
88 O 0.251 0.633 0.860
89 O 0.653 0.838 0.972
90 O 0.400 0.833 0.192
91 O 0.095 0.029 0.592
92 O 0.083 0.963 0.193
93 O 0.820 0.146 0.425
94 O 0.240 0.308 0.742
95 O 0.251 0.868 0.359
96 O 0.486 0.812 0.091
97 O 0.747 0.362 0.143
98 O 0.017 0.200 0.192
99 O 0.583 0.205 0.694
100 O 0.569 0.642 0.077
101 O 0.751 0.633 0.860
102 O 0.818 0.134 0.141
103 O 0.768 0.696 0.973
104 O 0.759 0.686 0.257
105 O 0.734 0.167 0.528
106 O 0.253 0.641 0.577
107 O 0.420 0.810 0.592